Find the line underneath that holds "-3.79 2.15", then restate that line and all lines after it there.
(1)
155
Properties=species:S:1:pos:R:3:mulliken_charge:R:1 method="wB97M-V/def2-TZVPD" relative_energy_ev=2.8682 lumo_energy_ev=2.122 charge=-1 fmax_ev_per_a=5.94 orbital_gap_ev=9.4 homo_ev=-7.3
Cl -0.35 1.29 -1.15 1.316
O 0.00 2.48 -0.51 -0.516
O -0.78 1.69 -2.46 -0.741
O 0.87 0.52 -1.23 -0.643
O -1.39 0.67 -0.45 -0.209
C 1.91 0.87 2.68 0.091
C 0.68 -0.02 2.35 0.803
O 0.25 -0.45 3.57 -0.023
C 0.97 0.09 4.58 0.455
O 0.80 -0.24 5.77 -0.643
O 1.92 0.85 4.07 -0.335
H 1.86 1.92 2.37 -0.012
H 2.82 0.40 2.30 0.211
H 0.85 -0.84 1.65 -0.398
H -0.04 0.66 1.90 -0.247
C -3.09 4.47 -1.32 -0.079
C -2.05 5.35 -0.61 -0.068
O -2.80 6.01 0.30 -0.385
C -4.07 5.57 0.32 0.710
O -4.87 5.81 1.23 -0.621
O -4.27 4.85 -0.68 -0.334
H -2.86 3.40 -1.28 0.138
H -3.10 4.97 -2.29 0.336
H -1.59 6.08 -1.26 0.272
H -1.27 4.77 -0.13 0.030
C -3.87 1.78 1.85 0.144
C -5.17 0.95 1.67 -0.555
O -6.37 1.81 1.94 -0.493
P -7.04 1.63 3.41 0.798
O -8.12 2.60 3.74 -0.772
O -5.71 1.82 4.37 -0.162
C -5.79 1.49 5.72 -0.466
C -5.24 0.06 5.97 -0.903
O -7.42 0.08 3.56 -0.049
C -8.51 -0.43 2.83 -0.340
C -9.66 -0.85 3.79 -1.231
H -3.79 2.15 2.87 0.356
H -3.06 1.08 1.65 -0.239
H -3.93 2.51 1.05 -0.169
H -5.27 0.59 0.64 0.483
H -5.12 0.05 2.30 0.333
H -5.23 2.26 6.26 0.411
H -6.78 1.58 6.17 0.305
H -5.00 -0.14 7.01 0.449
H -5.95 -0.76 5.83 0.269
H -4.36 -0.18 5.37 0.121
H -8.98 0.30 2.17 0.378
H -8.28 -1.31 2.23 0.319
H -10.47 -1.35 3.26 0.413
H -9.34 -1.46 4.64 0.290
H -10.12 0.07 4.13 0.286
C -1.53 -2.90 6.53 -1.232
C -1.92 -3.55 5.13 -0.076
O -0.79 -3.32 4.34 -0.065
P -0.69 -3.84 2.81 0.954
O 0.48 -3.43 2.05 -0.653
O -0.99 -5.45 2.89 -0.332
C 0.05 -6.38 3.22 -0.469
C 0.80 -6.77 1.87 -0.594
O -2.11 -3.48 2.09 -0.485
C -2.35 -2.15 1.68 0.809
C -3.28 -2.23 0.49 -0.898
H -2.40 -3.01 7.18 0.426
H -0.68 -3.39 7.00 0.327
H -1.30 -1.84 6.41 0.248
H -2.00 -4.62 5.31 0.241
H -2.86 -3.15 4.74 0.263
H 0.77 -6.10 3.99 0.311
H -0.51 -7.28 3.48 0.356
H 1.84 -7.06 2.03 0.328
H 0.21 -7.53 1.35 0.293
H 0.86 -5.92 1.19 -0.035
H -2.93 -1.64 2.45 0.085
H -1.48 -1.61 1.29 -0.129
H -4.02 -3.03 0.56 0.469
H -3.73 -1.26 0.28 0.012
H -2.68 -2.57 -0.35 -0.045
C 2.52 4.23 5.79 -1.059
C 3.20 4.93 4.59 -0.258
O 4.02 4.03 3.95 -0.083
P 4.94 4.47 2.72 0.934
O 5.74 3.35 2.10 -0.767
O 3.95 5.27 1.82 -0.288
C 3.93 5.05 0.40 -0.657
C 2.66 4.28 0.05 -0.756
O 5.87 5.62 3.41 -0.350
C 6.76 5.28 4.49 -0.380
C 8.18 4.98 3.84 -1.041
H 1.92 3.40 5.42 0.152
H 3.32 3.83 6.42 0.303
H 2.10 5.02 6.41 0.405
H 2.47 5.39 3.93 0.310
H 3.76 5.81 4.90 0.378
H 3.90 5.95 -0.21 0.332
H 4.86 4.59 0.08 0.437
H 2.64 4.12 -1.03 0.449
H 2.73 3.21 0.27 0.164
H 1.74 4.78 0.34 0.235
H 6.68 6.26 4.97 0.335
H 6.31 4.53 5.14 0.294
H 8.23 4.32 2.98 0.285
H 8.56 5.95 3.49 0.282
H 8.89 4.54 4.54 0.348
C -2.55 -0.87 -3.92 -0.739
C -2.33 -2.21 -4.52 -0.372
O -0.98 -2.21 -4.97 -0.339
P 0.03 -3.44 -4.58 1.109
O 1.45 -3.19 -4.95 -0.424
O -0.65 -4.61 -5.42 -0.366
C -0.04 -5.87 -5.48 -0.289
C -0.60 -6.53 -6.83 -1.218
O -0.26 -3.73 -3.04 -0.421
C -0.02 -2.70 -2.13 1.078
C 1.46 -2.92 -1.64 -0.975
H -2.55 -0.13 -4.72 0.305
H -3.54 -0.95 -3.46 0.361
H -1.86 -0.59 -3.13 -0.110
H -2.36 -2.97 -3.75 0.305
H -3.10 -2.54 -5.21 0.425
H 1.01 -5.68 -5.66 0.243
H -0.17 -6.44 -4.55 0.301
H 0.02 -7.41 -7.03 0.383
H -1.64 -6.82 -6.74 0.306
H -0.54 -5.78 -7.62 0.308
H -0.18 -1.70 -2.52 -0.327
H -0.66 -2.87 -1.26 -0.349
H 1.59 -3.91 -1.20 0.383
H 2.24 -2.76 -2.37 0.064
H 1.61 -2.22 -0.81 0.155
C 5.69 -2.46 -4.28 -0.975
C 6.17 -1.75 -5.59 -0.220
O 5.22 -1.94 -6.63 -0.305
P 4.28 -0.83 -7.29 0.924
O 3.20 -1.37 -8.14 -0.752
O 5.31 0.28 -7.94 -0.298
C 4.87 1.06 -8.98 -0.144
C 6.03 1.82 -9.42 -1.287
O 3.68 0.09 -6.00 -0.338
C 2.60 -0.38 -5.28 0.184
C 1.88 0.74 -4.48 -0.877
H 6.38 -2.26 -3.47 0.409
H 4.74 -2.08 -3.90 0.140
H 5.56 -3.54 -4.42 0.268
H 6.28 -0.71 -5.29 0.255
H 7.16 -2.09 -5.88 0.410
H 4.40 0.46 -9.76 0.363
H 4.06 1.74 -8.73 0.291
H 6.23 2.46 -8.55 0.284
H 6.90 1.22 -9.65 0.297
H 5.89 2.39 -10.34 0.388
H 1.83 -0.80 -5.93 0.274
H 2.91 -1.23 -4.67 -0.036
H -3.79 2.15 2.87 0.356
H -3.06 1.08 1.65 -0.239
H -3.93 2.51 1.05 -0.169
H -5.27 0.59 0.64 0.483
H -5.12 0.05 2.30 0.333
H -5.23 2.26 6.26 0.411
H -6.78 1.58 6.17 0.305
H -5.00 -0.14 7.01 0.449
H -5.95 -0.76 5.83 0.269
H -4.36 -0.18 5.37 0.121
H -8.98 0.30 2.17 0.378
H -8.28 -1.31 2.23 0.319
H -10.47 -1.35 3.26 0.413
H -9.34 -1.46 4.64 0.290
H -10.12 0.07 4.13 0.286
C -1.53 -2.90 6.53 -1.232
C -1.92 -3.55 5.13 -0.076
O -0.79 -3.32 4.34 -0.065
P -0.69 -3.84 2.81 0.954
O 0.48 -3.43 2.05 -0.653
O -0.99 -5.45 2.89 -0.332
C 0.05 -6.38 3.22 -0.469
C 0.80 -6.77 1.87 -0.594
O -2.11 -3.48 2.09 -0.485
C -2.35 -2.15 1.68 0.809
C -3.28 -2.23 0.49 -0.898
H -2.40 -3.01 7.18 0.426
H -0.68 -3.39 7.00 0.327
H -1.30 -1.84 6.41 0.248
H -2.00 -4.62 5.31 0.241
H -2.86 -3.15 4.74 0.263
H 0.77 -6.10 3.99 0.311
H -0.51 -7.28 3.48 0.356
H 1.84 -7.06 2.03 0.328
H 0.21 -7.53 1.35 0.293
H 0.86 -5.92 1.19 -0.035
H -2.93 -1.64 2.45 0.085
H -1.48 -1.61 1.29 -0.129
H -4.02 -3.03 0.56 0.469
H -3.73 -1.26 0.28 0.012
H -2.68 -2.57 -0.35 -0.045
C 2.52 4.23 5.79 -1.059
C 3.20 4.93 4.59 -0.258
O 4.02 4.03 3.95 -0.083
P 4.94 4.47 2.72 0.934
O 5.74 3.35 2.10 -0.767
O 3.95 5.27 1.82 -0.288
C 3.93 5.05 0.40 -0.657
C 2.66 4.28 0.05 -0.756
O 5.87 5.62 3.41 -0.350
C 6.76 5.28 4.49 -0.380
C 8.18 4.98 3.84 -1.041
H 1.92 3.40 5.42 0.152
H 3.32 3.83 6.42 0.303
H 2.10 5.02 6.41 0.405
H 2.47 5.39 3.93 0.310
H 3.76 5.81 4.90 0.378
H 3.90 5.95 -0.21 0.332
H 4.86 4.59 0.08 0.437
H 2.64 4.12 -1.03 0.449
H 2.73 3.21 0.27 0.164
H 1.74 4.78 0.34 0.235
H 6.68 6.26 4.97 0.335
H 6.31 4.53 5.14 0.294
H 8.23 4.32 2.98 0.285
H 8.56 5.95 3.49 0.282
H 8.89 4.54 4.54 0.348
C -2.55 -0.87 -3.92 -0.739
C -2.33 -2.21 -4.52 -0.372
O -0.98 -2.21 -4.97 -0.339
P 0.03 -3.44 -4.58 1.109
O 1.45 -3.19 -4.95 -0.424
O -0.65 -4.61 -5.42 -0.366
C -0.04 -5.87 -5.48 -0.289
C -0.60 -6.53 -6.83 -1.218
O -0.26 -3.73 -3.04 -0.421
C -0.02 -2.70 -2.13 1.078
C 1.46 -2.92 -1.64 -0.975
H -2.55 -0.13 -4.72 0.305
H -3.54 -0.95 -3.46 0.361
H -1.86 -0.59 -3.13 -0.110
H -2.36 -2.97 -3.75 0.305
H -3.10 -2.54 -5.21 0.425
H 1.01 -5.68 -5.66 0.243
H -0.17 -6.44 -4.55 0.301
H 0.02 -7.41 -7.03 0.383
H -1.64 -6.82 -6.74 0.306
H -0.54 -5.78 -7.62 0.308
H -0.18 -1.70 -2.52 -0.327
H -0.66 -2.87 -1.26 -0.349
H 1.59 -3.91 -1.20 0.383
H 2.24 -2.76 -2.37 0.064
H 1.61 -2.22 -0.81 0.155
C 5.69 -2.46 -4.28 -0.975
C 6.17 -1.75 -5.59 -0.220
O 5.22 -1.94 -6.63 -0.305
P 4.28 -0.83 -7.29 0.924
O 3.20 -1.37 -8.14 -0.752
O 5.31 0.28 -7.94 -0.298
C 4.87 1.06 -8.98 -0.144
C 6.03 1.82 -9.42 -1.287
O 3.68 0.09 -6.00 -0.338
C 2.60 -0.38 -5.28 0.184
C 1.88 0.74 -4.48 -0.877
H 6.38 -2.26 -3.47 0.409
H 4.74 -2.08 -3.90 0.140
H 5.56 -3.54 -4.42 0.268
H 6.28 -0.71 -5.29 0.255
H 7.16 -2.09 -5.88 0.410
H 4.40 0.46 -9.76 0.363
H 4.06 1.74 -8.73 0.291
H 6.23 2.46 -8.55 0.284
H 6.90 1.22 -9.65 0.297
H 5.89 2.39 -10.34 0.388
H 1.83 -0.80 -5.93 0.274
H 2.91 -1.23 -4.67 -0.036